**Activity:**
It remains to print all of the contents underneath unchanged.
**Source:**
No. 1
VASP calculation (GGA-PBE) on a relaxed structure of ZrZn2Fe2.

Values from the calculation:
**Formation enthalpy at 0 K**: 14 meV/atom
**Calculated volume**: 146.7 Å³ per cell
**Total DFT energy (no corrections)**: -5.5899 eV per atom
**Magnetic moment**: 8.6 μB/cell

Lattice parameters (Å, degrees): 7.3905 7.3905 2.6853 90.00 90.00 90.00
Last column: nearest neighbours and their distance in Å.
Positions (direct):
Zn1 0.1780 0.6780 0.5000  6 Fe 2.55-2.59, 2 Zn 2.69
Zn2 0.6780 0.8220 0.5000  6 Fe 2.55-2.59, 2 Zn 2.69
Zn3 0.8220 0.3220 0.5000  6 Fe 2.55-2.59, 2 Zn 2.69
Zn4 0.3220 0.1780 0.5000  6 Fe 2.55-2.59, 2 Zn 2.69
Fe1 0.3850 0.8850 0.0000  3 Fe 2.40-2.69, 6 Zn 2.55-2.59
Fe2 0.8850 0.6150 0.0000  3 Fe 2.40-2.69, 6 Zn 2.55-2.59
Fe3 0.6150 0.1150 0.0000  3 Fe 2.40-2.69, 6 Zn 2.55-2.59
Fe4 0.1150 0.3850 0.0000  3 Fe 2.40-2.69, 6 Zn 2.55-2.59
Zr1 0.0000 0.0000 0.0000  2 Zr 2.69, 4 Fe 2.97
Zr2 0.5000 0.5000 0.0000  2 Zr 2.69, 4 Fe 2.97


No. 2
VASP calculation (GGA-PBE) on a relaxed structure of ReSb2SeN.

Values from the calculation:
**Calculated volume**: 104.6 Å³ per cell
**Total DFT energy (no corrections)**: -4.8584 eV per atom
**Magnetic moment**: 2.4 μB/cell
**Formation energy (no corrections)**: 8.2 eV/f.u.

Lattice parameters (Å, degrees): 5.4022 3.5851 5.4022 90.00 90.00 90.00
Last column: nearest neighbours and their distance in Å.
Positions (direct):
Re1 0.5000 0.5000 0.5000  8 Sb 3.24, 2 Re 3.59
N1 0.0000 0.5000 0.0000  2 Se 1.79
Se1 0.0000 0.0000 0.0000  2 N 1.79
Sb1 0.0000 0.0000 0.5000  2 Se 2.70
Sb2 0.5000 0.0000 0.0000  2 Se 2.70


No. 3
VASP calculation (GGA-PBE) on a relaxed structure of Mg2AlRu.

Values from the calculation:
**Formation enthalpy at 0 K**: 87 meV/atom
**Calculated volume**: 68.6 Å³ per cell
**Total DFT energy (no corrections)**: -3.9649 eV per atom
**Magnetic moment**: 0.0 μB/cell

Lattice parameters (Å, degrees): 9.2600 9.2600 9.2600 18.33 18.33 18.33
Last column: nearest neighbours and their distance in Å.
Positions (direct):
Al1 0.7500 0.7500 0.7500  6 Al 2.95, 6 Mg 2.95
Mg1 0.9950 0.9950 0.9950  3 Ru 2.73, 6 Mg 2.95, 3 Al 2.95
Mg2 0.5050 0.5050 0.5050  3 Ru 2.73, 6 Mg 2.95, 3 Al 2.95
Ru1 0.2500 0.2500 0.2500  6 Mg 2.73, 6 Ru 2.95


No. 4
VASP calculation (GGA-PBE) on a relaxed structure of PrMgPb.

Values from the calculation:
**Formation enthalpy at 0 K**: -363 meV/atom
**Calculated volume**: 84.7 Å³ per cell
**Total DFT energy (no corrections)**: -3.7239 eV per atom
**Magnetic moment**: 0.0 μB/cell

Lattice parameters (Å, degrees): 3.8952 5.0117 5.0117 120.00 90.00 90.00
Last column: nearest neighbours and their distance in Å.
Positions (direct):
Pb1 0.1771 0.3333 0.6667  3 Mg 2.89
Pr1 0.6649 0.6667 0.3333  6 Pb 3.46-3.51, 6 Mg 3.47-3.50
Mg1 0.1580 0.0000 0.0000  3 Pb 2.89


No. 5
VASP calculation (GGA-PBE) on a relaxed structure of Co2TcAs.

Values from the calculation:
**Formation enthalpy at 0 K**: 113 meV/atom
**Calculated volume**: 49.6 Å³ per cell
**Total DFT energy (no corrections)**: -7.1938 eV per atom
**Magnetic moment**: 0.0 μB/cell

Lattice parameters (Å, degrees): 4.5268 4.5268 4.5268 132.43 132.43 69.55
Last column: nearest neighbours and their distance in Å.
Positions (direct):
As1 0.7500 0.2500 0.5000  4 Tc 2.58, 8 Co 2.61
Co1 0.0000 0.0000 0.0000  4 Co 2.58, 4 Tc 2.61, 4 As 2.61
Co2 0.5000 0.5000 0.0000  4 Co 2.58, 4 As 2.61, 4 Tc 2.61
Tc1 0.2500 0.7500 0.5000  4 As 2.58, 8 Co 2.61


No. 6
VASP calculation (GGA-PBE) on a relaxed structure of IrC2.

Values from the calculation:
**ΔE to the lowest computed polymorph**: 0.526 eV/atom
**Formation enthalpy at 0 K**: 1115 meV/atom
**Calculated volume**: 66.9 Å³ per cell
**Total DFT energy (no corrections)**: -7.9875 eV per atom
**Magnetic moment**: 0.0 μB/cell

Lattice parameters (Å, degrees): 4.9579 4.9579 2.9729 90.00 90.00 113.74
Last column: nearest neighbours and their distance in Å.
Positions (direct):
Ir1 0.1506 0.8494 0.7500  6 C 2.06-2.25
Ir2 0.8494 0.1506 0.2500  6 C 2.06-2.25
**Completed:**
No. 1
VASP calculation (GGA-PBE) on a relaxed structure of ZrZn2Fe2.

Values from the calculation:
**Formation enthalpy at 0 K**: 14 meV/atom
**Calculated volume**: 146.7 Å³ per cell
**Total DFT energy (no corrections)**: -5.5899 eV per atom
**Magnetic moment**: 8.6 μB/cell

Lattice parameters (Å, degrees): 7.3905 7.3905 2.6853 90.00 90.00 90.00
Last column: nearest neighbours and their distance in Å.
Positions (direct):
Zn1 0.1780 0.6780 0.5000  6 Fe 2.55-2.59, 2 Zn 2.69
Zn2 0.6780 0.8220 0.5000  6 Fe 2.55-2.59, 2 Zn 2.69
Zn3 0.8220 0.3220 0.5000  6 Fe 2.55-2.59, 2 Zn 2.69
Zn4 0.3220 0.1780 0.5000  6 Fe 2.55-2.59, 2 Zn 2.69
Fe1 0.3850 0.8850 0.0000  3 Fe 2.40-2.69, 6 Zn 2.55-2.59
Fe2 0.8850 0.6150 0.0000  3 Fe 2.40-2.69, 6 Zn 2.55-2.59
Fe3 0.6150 0.1150 0.0000  3 Fe 2.40-2.69, 6 Zn 2.55-2.59
Fe4 0.1150 0.3850 0.0000  3 Fe 2.40-2.69, 6 Zn 2.55-2.59
Zr1 0.0000 0.0000 0.0000  2 Zr 2.69, 4 Fe 2.97
Zr2 0.5000 0.5000 0.0000  2 Zr 2.69, 4 Fe 2.97


No. 2
VASP calculation (GGA-PBE) on a relaxed structure of ReSb2SeN.

Values from the calculation:
**Calculated volume**: 104.6 Å³ per cell
**Total DFT energy (no corrections)**: -4.8584 eV per atom
**Magnetic moment**: 2.4 μB/cell
**Formation energy (no corrections)**: 8.2 eV/f.u.

Lattice parameters (Å, degrees): 5.4022 3.5851 5.4022 90.00 90.00 90.00
Last column: nearest neighbours and their distance in Å.
Positions (direct):
Re1 0.5000 0.5000 0.5000  8 Sb 3.24, 2 Re 3.59
N1 0.0000 0.5000 0.0000  2 Se 1.79
Se1 0.0000 0.0000 0.0000  2 N 1.79
Sb1 0.0000 0.0000 0.5000  2 Se 2.70
Sb2 0.5000 0.0000 0.0000  2 Se 2.70


No. 3
VASP calculation (GGA-PBE) on a relaxed structure of Mg2AlRu.

Values from the calculation:
**Formation enthalpy at 0 K**: 87 meV/atom
**Calculated volume**: 68.6 Å³ per cell
**Total DFT energy (no corrections)**: -3.9649 eV per atom
**Magnetic moment**: 0.0 μB/cell

Lattice parameters (Å, degrees): 9.2600 9.2600 9.2600 18.33 18.33 18.33
Last column: nearest neighbours and their distance in Å.
Positions (direct):
Al1 0.7500 0.7500 0.7500  6 Al 2.95, 6 Mg 2.95
Mg1 0.9950 0.9950 0.9950  3 Ru 2.73, 6 Mg 2.95, 3 Al 2.95
Mg2 0.5050 0.5050 0.5050  3 Ru 2.73, 6 Mg 2.95, 3 Al 2.95
Ru1 0.2500 0.2500 0.2500  6 Mg 2.73, 6 Ru 2.95


No. 4
VASP calculation (GGA-PBE) on a relaxed structure of PrMgPb.

Values from the calculation:
**Formation enthalpy at 0 K**: -363 meV/atom
**Calculated volume**: 84.7 Å³ per cell
**Total DFT energy (no corrections)**: -3.7239 eV per atom
**Magnetic moment**: 0.0 μB/cell

Lattice parameters (Å, degrees): 3.8952 5.0117 5.0117 120.00 90.00 90.00
Last column: nearest neighbours and their distance in Å.
Positions (direct):
Pb1 0.1771 0.3333 0.6667  3 Mg 2.89
Pr1 0.6649 0.6667 0.3333  6 Pb 3.46-3.51, 6 Mg 3.47-3.50
Mg1 0.1580 0.0000 0.0000  3 Pb 2.89


No. 5
VASP calculation (GGA-PBE) on a relaxed structure of Co2TcAs.

Values from the calculation:
**Formation enthalpy at 0 K**: 113 meV/atom
**Calculated volume**: 49.6 Å³ per cell
**Total DFT energy (no corrections)**: -7.1938 eV per atom
**Magnetic moment**: 0.0 μB/cell

Lattice parameters (Å, degrees): 4.5268 4.5268 4.5268 132.43 132.43 69.55
Last column: nearest neighbours and their distance in Å.
Positions (direct):
As1 0.7500 0.2500 0.5000  4 Tc 2.58, 8 Co 2.61
Co1 0.0000 0.0000 0.0000  4 Co 2.58, 4 Tc 2.61, 4 As 2.61
Co2 0.5000 0.5000 0.0000  4 Co 2.58, 4 As 2.61, 4 Tc 2.61
Tc1 0.2500 0.7500 0.5000  4 As 2.58, 8 Co 2.61


No. 6
VASP calculation (GGA-PBE) on a relaxed structure of IrC2.

Values from the calculation:
**ΔE to the lowest computed polymorph**: 0.526 eV/atom
**Formation enthalpy at 0 K**: 1115 meV/atom
**Calculated volume**: 66.9 Å³ per cell
**Total DFT energy (no corrections)**: -7.9875 eV per atom
**Magnetic moment**: 0.0 μB/cell

Lattice parameters (Å, degrees): 4.9579 4.9579 2.9729 90.00 90.00 113.74
Last column: nearest neighbours and their distance in Å.
Positions (direct):
Ir1 0.1506 0.8494 0.7500  6 C 2.06-2.25
Ir2 0.8494 0.1506 0.2500  6 C 2.06-2.25